┌──
A plane-wave DFT calculation with PBE was carried out for a geometry-optimized Hf3MnI structure.

The volume comes out at 27.62 A^3/atom. The energy relative to the elements, uncorrected is 1.427 eV per atom.

abc: 5.169 5.169 5.169
angles: 90.00 90.00 90.00
Each line ends with the local moment (μB).
Atoms (fractional coordinates):
I 0.000 0.000 0.000  0.01
Mn 0.500 0.500 0.500  4.19
Hf 0.000 0.500 0.000  -0.09
Hf 0.000 0.000 0.500  -0.05
Hf 0.500 0.000 0.000  -0.18

* * * * *

Entry from Alexandria via LeMat-Bulk: a relaxed SrYSnSb2 crystal (GGA-PBEsol).

a = 5.6350 Å, b = 5.6350 Å, c = 6.1032 Å
α = 90.00°, β = 90.00°, γ = 90.00°
Positions (direct):
Sr (0.0000, 0.0000, 0.0000)
Y (0.0000, 0.0000, 0.5000)
Sn (0.5000, 0.5000, 0.0000)
Sb (0.0000, 0.5000, 0.5000)
Sb (0.5000, 0.0000, 0.5000)

Calculated values
DOS at the Fermi energy = 4.5 states/eV/f.u.
SG = P4/mmm (123)
Total magnetic moment = 0.003 Bohr magnetons per cell
Electronic total energy = -4.068 eV/atom

***

Entry from Alexandria via LeMat-Bulk: a relaxed ScBeRu3 crystal (GGA-PBEsol).

a = 4.1181 Å, b = 4.1181 Å, c = 4.1181 Å
α = 90.00°, β = 90.00°, γ = 90.00°
Positions (direct):
Sc (0.0000, 0.0000, 0.0000)
Be (0.5000, 0.5000, 0.5000)
Ru (0.0000, 0.5000, 0.5000)
Ru (0.5000, 0.0000, 0.5000)
Ru (0.5000, 0.5000, 0.0000)

Calculated values
DOS at the Fermi energy = 7.8 states/eV/f.u.
SG = Pm-3m (221)
Total magnetic moment = 0.001 Bohr magnetons per cell
Electronic total energy = -8.063 eV/atom
E_form = 161 meV/atom

***

Entry from Alexandria via LeMat-Bulk: a relaxed PtAu crystal (GGA-PBEsol).

a = 5.5451 Å, b = 5.5451 Å, c = 5.5451 Å
α = 150.84°, β = 128.64°, γ = 60.16°
Positions (direct):
Pt (0.3805, 0.1305, 0.2500)
Pt (0.6195, 0.8695, 0.7500)
Au (0.1292, 0.3792, 0.7500)
Au (0.8708, 0.6208, 0.2500)

Calculated values
DOS at the Fermi energy = 2.2 states/eV/f.u.
SG = Imma (74)
Total magnetic moment = 0.001 Bohr magnetons per cell
Electronic total energy = -5.351 eV/atom
E_form = 93 meV/atom

***

Entry from Alexandria via LeMat-Bulk: a relaxed TmZr3 crystal (GGA-PBEsol).

a = 6.5044 Å, b = 6.5044 Å, c = 5.1407 Å
α = 90.00°, β = 90.00°, γ = 120.00°
Positions (direct):
Tm (0.3333, 0.6667, 0.2500)
Tm (0.6667, 0.3333, 0.7500)
Zr (0.1627, 0.3254, 0.7500)
Zr (0.1627, 0.8373, 0.7500)
Zr (0.3254, 0.1627, 0.2500)
Zr (0.6746, 0.8373, 0.7500)
Zr (0.8373, 0.1627, 0.2500)
Zr (0.8373, 0.6746, 0.2500)

Calculated values
DOS at the Fermi energy = 3.7 states/eV/f.u.
SG = P6_3/mmc (194)
Total magnetic moment = 0.000 Bohr magnetons per cell
Electronic total energy = -8.016 eV/atom
E_form = 26 meV/atom

***

Entry from Alexandria via LeMat-Bulk: a relaxed CaLa2Pd2 crystal (GGA-PBEsol).

a = 6.9292 Å, b = 6.9292 Å, c = 6.9292 Å
α = 139.37°, β = 139.37°, γ = 58.81°
Positions (direct):
Ca (0.0000, 0.0000, 0.0000)
La (0.2500, 0.7500, 0.5000)
La (0.7500, 0.2500, 0.5000)
Pd (0.3918, 0.3918, 0.0000)
Pd (0.6082, 0.6082, 0.0000)

Calculated values
DOS at the Fermi energy = 4.1 states/eV/f.u.
SG = I4/mmm (139)
Relative energy among the computed polymorphs = 0.2246 eV/atom
Total magnetic moment = 0.000 Bohr magnetons per cell
Electronic total energy = -5.349 eV/atom
E_form = -400 meV/atom

***

Entry from Alexandria via LeMat-Bulk: a relaxed LiRe3P crystal (GGA-PBEsol).

a = 4.0772 Å, b = 4.0772 Å, c = 4.0772 Å
α = 90.00°, β = 90.00°, γ = 90.00°
Positions (direct):
Li (0.0000, 0.0000, 0.0000)
Re (0.0000, 0.0000, 0.5000)
Re (0.0000, 0.5000, 0.0000)
Re (0.5000, 0.0000, 0.0000)
P (0.5000, 0.5000, 0.5000)

Calculated values
DOS at the Fermi energy = 6.5 states/eV/f.u.
SG = Pm-3m (221)
Total magnetic moment = 0.002 Bohr magnetons per cell
Electronic total energy = -7.800 eV/atom
E_form = 1751 meV/atom

***

Entry from Alexandria via LeMat-Bulk: a relaxed Li2CdIn crystal (GGA-PBEsol).

a = 6.0669 Å, b = 6.0669 Å, c = 6.0669 Å
α = 103.30°, β = 103.30°, γ = 122.68°
Positions (direct):
Li (0.1175, 0.1250, 0.4925)
Li (0.3750, 0.8825, 0.0075)
Li (0.6325, 0.6250, 0.5075)
Li (0.8750, 0.3675, 0.9925)
└──
Filter the lines further up: keep the lines with the word "with", please.
A plane-wave DFT calculation with PBE was carried out for a geometry-optimized Hf3MnI structure.
Each line ends with the local moment (μB).